The Australian Skeptics' Guide to


Laurie Eddie

(Investigator 86, 2002 September)

Although the Law of Karma exists independently of the concept of reincarnation, it is difficult to examine one without the other, for the two theories rely upon each other.

"Karma" comes from the Sanskrit, and means, "action, work or deed". Sometimes described as a "law of equilibrium, a law of spiritual dynamics" or the moral law of cause and effect. [1]

This "law" attempts to express the idea of a universal cycle of cause and effect, especially as to the influences, and the accumulative effects, of personal thoughts and actions upon the destiny of all humans.

According to the Law of Karma, we exist on three levels, or worlds, physical, emotional and mental. Our individual character is viewed as a combination of physical acts, desires and thoughts. Within this system, human thoughts are considered most important. Unlike Western science which perceives thoughts as simply short-term electrochemical processes within the brain, some Eastern religions claim that, Our thoughts are dynamic and persist, their energies forming the basis for the law of Karma. [2]

Underlying this belief is the idea of a universal system of equilibrium, wherein the natural balance is influenced by the behavior of individual humans. Their individual thoughts are believed to be able to create ripples in the fabric of the cosmos, creating either positive or negative influences upon the operation of the physical universe.

== Someone pasted data records at this point ==
<<<
# Li7Fe8B8O24 PBE+U relaxed
# * VASP energy: -6.965 eV per atom
# * volume: 10.38 Å³/atom
# * space-group type: P1 (1)
# * magnetization: 33.00 μB/f.u.
# * E above lowest polymorph: 0.0092 eV/atom
data_Li7Fe8B8O24
_chemical_formula_sum 'Li7 Fe8 B8 O24'
_cell_length_a 5.229
_cell_length_b 9.066
_cell_length_c 11.473
_cell_angle_alpha 113.01
_cell_angle_beta 101.98
_cell_angle_gamma 89.64
_symmetry_space_group_name_H-M 'P 1'
_symmetry_Int_Tables_number 1
loop_
_symmetry_equiv_pos_as_xyz
'x,y,z'
loop_
_atom_site_label
_atom_site_type_symbol
_atom_site_fract_x
_atom_site_fract_y
_atom_site_fract_z
_atom_site_occupancy
O1 O 0.693 0.716 0.830 1
O2 O 0.960 0.383 0.346 1
Li1 Li 0.352 0.711 0.409 1
O3 O 0.146 0.885 0.093 1
Fe1 Fe 0.347 0.348 0.379 1
O4 O 0.864 0.117 0.916 1
B1 B 0.599 0.600 0.870 1
O5 O 0.646 0.389 0.097 1
O6 O 0.973 0.655 0.366 1
B2 B 0.398 0.394 0.126 1
B3 B 0.347 0.015 0.375 1
Fe2 Fe 0.106 0.779 0.887 1
O7 O 0.509 0.843 0.623 1
B4 B 0.897 0.894 0.123 1
Fe3 Fe 0.656 0.647 0.628 1
O8 O 0.017 0.367 0.641 1
O9 O 0.470 0.133 0.356 1
O10 O 0.804 0.781 0.161 1
O11 O 0.200 0.226 0.849 1
Li2 Li 0.427 0.074 0.170 1
O12 O 0.128 0.039 0.428 1
Fe4 Fe 0.407 0.723 0.130 1
O13 O 0.547 0.127 0.667 1
O14 O 0.041 0.639 0.659 1
O15 O 0.236 0.968 0.860 1
Li3 Li 0.615 0.951 0.913 1
O16 O 0.243 0.516 0.114 1
O17 O 0.444 0.861 0.340 1
Li4 Li 0.919 0.576 0.169 1
B5 B 0.857 0.530 0.381 1
B6 B 0.099 0.104 0.877 1
Fe5 Fe 0.594 0.272 0.882 1
B7 B 0.148 0.489 0.632 1
O18 O 0.742 0.012 0.108 1
O19 O 0.396 0.473 0.600 1
Li5 Li 0.670 0.333 0.663 1
Fe6 Fe 0.146 0.156 0.627 1
B8 B 0.654 0.980 0.632 1
O20 O 0.308 0.281 0.164 1
Li6 Li 0.169 0.846 0.665 1
O21 O 0.897 0.961 0.602 1
O22 O 0.738 0.469 0.861 1
O23 O 0.366 0.621 0.912 1
Li7 Li 0.115 0.448 0.909 1
Fe7 Fe 0.902 0.229 0.138 1
Fe8 Fe 0.841 0.875 0.380 1
O24 O 0.623 0.551 0.431 1


Record 1
# KUHSeO7

KUHSeO7 after structural relaxation (GGA-PBE, Materials Project).

* calculated total energy: -6.28 eV per atom
* E_form: -1.81 eV/atom
* total magnetic moment: 0.01 μB/f.u.

CIF file:
```
data_KUHSeO7
_chemical_formula_sum 'K4 U4 H4 Se4 O28'
_space_group_name_H-M_alt 'P 1 21/c 1'
_space_group_IT_number 14
_cell_length_a 8.475
_cell_length_b 8.172
_cell_length_c 12.160
_cell_angle_alpha 90.00
_cell_angle_beta 109.61
_cell_angle_gamma 90.00
loop_
_space_group_symop_operation_xyz
'x,y,z'
'-x,-y,-z'
'-x,y+1/2,-z+1/2'
'x,-y+1/2,z+1/2'
loop_
_atom_site_label
_atom_site_fract_x
_atom_site_fract_y
_atom_site_fract_z
K1 0.056 0.036 0.278
U1 0.454 0.076 0.729
H1 0.293 0.229 0.027
Se1 0.176 0.745 0.038
O1 0.037 0.709 0.602
O2 0.105 0.739 0.395
O3 0.242 0.548 0.072
O4 0.283 0.142 0.781
O5 0.346 0.630 0.593
O6 0.392 0.534 0.843
O7 0.493 0.662 0.295
```



Record 2
# Zr2Cu3Sb3

Zr2Cu3Sb3 after structural relaxation (GGA-PBE, Materials Project).

* calculated total energy: -5.43 eV per atom
* E_form: -0.28 eV/atom
* total magnetic moment: 0.00 μB/f.u.

CIF file:
```
data_Zr2Cu3Sb3
_chemical_formula_sum 'Zr2 Cu3 Sb3'
>>>

Originally a belief of the Hindu priestly caste, the Brahmins, the concept spread to Jainism and Buddhism. This "law" proposes the idea of a just universe, where, despite the injustices experienced during our earthly lives, justice, (often equated with retribution), will eventually finally prevail, and all will receive their appropriate reward, or punishment.

As such, it offers a simplistic explanation of ultimate morality, proposing a transcendental explanation as to why some people were born to wealth, others to poverty. According to the Chandogya Upanishad various rewards and punishments are meted out; those who lived good lives would be reborn to a Brahman mother, (a great reward); while those who had lived an evil life would be reborn to an Untouchable woman, (a terrible punishment).

The Law of Karma is closely related to the idea contained in many other religions, namely, that good works reap a divine reward, while evil deeds bring destruction. Behind every piece of good fortune lie the causes that the individual has consciously or unconsciously precipitated, perhaps recently or in a previous life. Behind every bit of misfortune lies the energy likewise generated by the individual. [31

However, unlike those religions which offer their followers a heavenly reward, because of its inexorable involvement with reincarnation Karma's reward is the final release of the individual from the eternal cycle of rebirths. Although Karma is a form of determinism, the idea that our own decisions and actions determine results, its believers argue that despite the inevitability of the ultimate plan, we are still free to make the decisions that will determine our individual destiny.

There are however a number of problems with the so-called Law of Karma.

Firstly, the so-called "Law of Karma" is no more a "law" than is the "law of the jungle". Rather it is merely a vague religious, philosophical concept, based upon a belief that every part of the entire physical universe is under the control of certain natural and impartial principles which ensure that the ultimate reward of every individual will depend upon the type of life(s) that they have led.

Just as the term "the law of the jungle" is another way of expressing the idea of "survival of the fittest", the "Law of Karma" is merely another way of expressing the idea that for every thought or action, however slight they might be, inevitably somewhere else in the universe, there is some corresponding effect, equal in influence to the original event.

Like many pseudo-beliefs its supporters seek to validate it by applying accepted scientific principles to support the concept. Thus, they claim that since, The science of physics demonstrates that no particle of energy can be put forth anywhere in the universe without a natural result following. [then] ... All thought, desire and action disturb in some measure the equilibrium of the universe. [4]

Unfortunately, there is a great deal of difference between natural principles and theoretical ideas. One does not necessarily support the other. Unlike scientific principles that are based upon observable and repeatable phenomena, the concept of karma is a vague, unscientific and untestable concept.

Indeed, the concepts upon which the Law of Karma are based are completely at odds with Western scientific thought. The idea, for instance, that individual "thoughts" are able to affect the course of the universe is absurd. There is no evidence whatsoever for such a claim. Western science considers that the thoughts and actions of each individual are brief limited events; their influence short and direct, with their influence restricted to ourselves and those whom we might influence, either through direct contact, or through indirect contact such as books and written material.

Furthermore, the Law of Karma is not only not scientific, it is not even remotely based upon anything which resembles scientific principles. It is based purely upon irrational and emotive principles, the human desire for equality and justice, applied on a cosmic level. It reflects an early religious idea that dates from at least early Egyptian times, and possibly earlier - the philosophical concept of reward and punishment, simply another version of the heaven and hell mythos.

It is an emotive concept, one which Osborn stated, even if it does not actually exist, one of those concepts which one feels ought to be true. [5] It utilises the concept of cosmic justice, so that despite the experiences of an individual during their earthly life, each would ultimately receive a reward or punishment. After death the spirit would return in another body – those who had suffered in their previous life would move upwards on the social scale, according to their past behaviour, while evil-doers would move downwards, perhaps even returning as animals, of a type befitting their punishment. The glutton for instance, would return as a pig, and those who had heaped pain and suffering upon others would return as a beast of burden, the property of a sadistic master.

While to some degree unique in its overall vision of the ultimate destiny of the individual, it really differs very little from other similar religious ideas that by living either a righteous or a sinful life, the individual will reap appropriate rewards, the former gaining the greatest reward conceivable to the believer, release from the eternal cycle of rebirths, while for the latter never being able to escape from that same cycle.

While at first glance the Law of Karma appears to be a moral and just concept, unfortunately, closer examination reveals that it is based upon a harsh and remorseless system of retribution, reminiscent of the harshest judgments of the Biblical Pharisees concerning "the sins of the fathers". As Christmas Humphreys, the founder of the British Buddhist Society commented concerning the Law of Karma, "He who suffers, suffers from his deliberate use of his own free will. We must not show any sympathy for cripples, dwarfs and those born deaf or blind, since these afflictions are the products of their own past actions." [6]

[1] Smith, H. The Religions of Man, New York: Harper and Row, Inc. 1965. p. 76.
[2) Osborn, A.W. The Superphysical, London: Frederick Muller Ltd., 1974, p. 297.
[3] Karma The Universal Law of Harmony, Theosophical Society brochure, p. 3.
[4] Ibid., p. 1.
[5] Osborne, op. cit, p. 297.
[6] Humphreys, C. Karma and Rebirth, 1983, p. 55.